5 Offerings for a Deep & Powerful Yom Kippur
Post date: Thu, 2018/08/16 - 4:30pm
From Hyper-Hurricanes to Life-Giving Action
Post date: Mon, 2017/09/11 - 10:18pm
Rosh Hashanah as We Turn to Heal the Earth
Post date: Tue, 2017/09/05 - 5:54pm
Turning Time--From Eid Mubarak to Shanah Tovah
Post date: Thu, 2017/08/31 - 12:05pm
Toward Eden: The Earth gives birth to the Human Race
Post date: Thu, 2016/10/27 - 8:28am
The Pope, the Church, Rabbis, & Women
Post date: Tue, 2015/10/20 - 8:48am
Pope Francis & St Francis: "Laudato Si [Praised be the ONE]"
Post date: Mon, 2015/07/13 - 8:50am
Two intertwined drushas: Eden & Shmita
Post date: Wed, 2014/12/24 - 9:29am
Torah of Truth vs. Torture: Sen. Udall's Sacred Task
Post date: Wed, 2014/11/19 - 4:15pm
God's Image, Caesar's Image, & the Jigsaw Puzzle of Humanity
Post date: Fri, 2012/10/12 - 6:05pm
Whose Image is on Our Money?
Post date: Wed, 2012/09/05 - 12:56pm
Why is Colorado Burning?
Post date: Wed, 2012/07/11 - 5:17am
Turn the barren place to Eden: The Earth gives birth to the Human Race
Post date: Sun, 2010/09/05 - 6:53am
9/11 and Rosh Hashanah: Reconciling Abraham's Families, Celebrating American Diversity
Post date: Thu, 2010/08/26 - 7:02am
High Holy Days: Does the Earth really matter?
Post date: Thu, 2010/08/12 - 5:04am
The 21st Century: In God's earthquake, Domination—or Community?
Post date: Sun, 2010/01/17 - 5:55am
# Data records that have nothing to do with the piece
┌──
1.
Simulated powder XRD pattern
Compound: Zn2SnBr8
Radiation: copper Kα
Structure: a cell relaxed with GGA-PBE

Top 6 peaks for 15 to 90 degrees two-theta, by intensity:
- hkl 1 0 1, d = 5.196 Å, 2θ = 17.07°, rel. 100
- hkl 2 0 1, d = 3.125 Å, 2θ = 28.56°, rel. 42
- hkl 2 1 1, d = 2.442 Å, 2θ = 36.81°, rel. 36
- hkl 2 2 0, d = 1.956 Å, 2θ = 46.43°, rel. 32
- hkl 1 2 3, d = 1.857 Å, 2θ = 49.04°, rel. 25
- hkl 2 0 2, d = 2.598 Å, 2θ = 34.53°, rel. 25

Structural model:
Unit cell a=7.8233 b=7.8233 c=8.0949 alpha=90.00 beta=90.00 gamma=120.00
Space group P-3m1 (No. 164)
Symmetry-distinct sites (fractional):
Zn  0.3333  0.6667  0.2349
Sn  0.0000  0.0000  0.5000
Br  0.1527  0.3055  0.2836
Br  0.3333  0.6667  0.9470



2.
Simulated powder XRD pattern
Compound: ZrSnBr
Radiation: copper Kα
Structure: a cell relaxed with GGA-PBE

Top 6 peaks for 15 to 90 degrees two-theta, by intensity:
- hkl 3 1 0, d = 2.409 Å, 2θ = 37.33°, rel. 100
- hkl 0 0 4, d = 2.397 Å, 2θ = 37.52°, rel. 88
- hkl 4 0 -2, d = 2.722 Å, 2θ = 32.90°, rel. 76
- hkl 1 1 -2, d = 2.806 Å, 2θ = 31.89°, rel. 73
- hkl 1 1 2, d = 2.534 Å, 2θ = 35.42°, rel. 72
- hkl 3 1 -4, d = 1.961 Å, 2θ = 46.29°, rel. 59

Structural model:
Unit cell a=11.0965 b=3.3603 c=10.2688 alpha=90.00 beta=110.94 gamma=90.00
Space group C2/m (No. 12)
Symmetry-distinct sites (fractional):
Zr  0.2010  0.0000  0.1379
Sn  0.0355  0.5000  0.8740
Br  0.1804  0.0000  0.6476



3.
Simulated powder XRD pattern
Compound: SrBr2
Radiation: copper Kα
Structure: a cell relaxed with GGA-PBE

Top 6 peaks for 15 to 90 degrees two-theta, by intensity:
- hkl 1 3 1, d = 3.312 Å, 2θ = 26.92°, rel. 100
- hkl 3 1 2, d = 2.602 Å, 2θ = 34.47°, rel. 95
- hkl 2 4 0, d = 2.630 Å, 2θ = 34.10°, rel. 88
- hkl 4 1 1, d = 2.656 Å, 2θ = 33.75°, rel. 80
- hkl 3 2 1, d = 2.977 Å, 2θ = 30.02°, rel. 56
- hkl 1 2 3, d = 2.204 Å, 2θ = 40.94°, rel. 56

Structural model:
Unit cell a=11.7597 b=11.7597 c=7.2837 alpha=90.00 beta=90.00 gamma=90.00
Space group P4/n (No. 85, origin choice 2)
Symmetry-distinct sites (fractional):
Sr  0.0822  0.8929  0.2465
Sr  0.2500  0.2500  0.1581
Br  0.0424  0.1473  0.3799
Br  0.0431  0.3391  0.9100
Br  0.2500  0.7500  0.0000
Br  0.2500  0.7500  0.5000



4.
Simulated powder XRD pattern
Compound: Sr2Br
Radiation: copper Kα
Structure: a cell relaxed with GGA-PBE

Top 6 peaks for 15 to 90 degrees two-theta, by intensity:
- hkl 1 3 1, d = 3.043 Å, 2θ = 29.35°, rel. 100
- hkl 1 3 0, d = 3.408 Å, 2θ = 26.15°, rel. 85
- hkl 0 0 2, d = 3.377 Å, 2θ = 26.39°, rel. 82
- hkl 0 6 1, d = 2.700 Å, 2θ = 33.18°, rel. 72
- hkl 1 3 2, d = 2.399 Å, 2θ = 37.49°, rel. 65
- hkl 2 0 2, d = 1.777 Å, 2θ = 51.43°, rel. 29

Structural model:
Unit cell a=4.1778 b=17.6773 c=6.7540 alpha=90.00 beta=90.00 gamma=90.00
Space group Cmcm (No. 63)
Symmetry-distinct sites (fractional):
Sr  0.0000  0.0571  0.2500
Sr  0.0000  0.3514  0.2500
Br  0.0000  0.2927  0.7500



5.
Simulated powder XRD pattern
Compound: Sr2Br
Radiation: copper Kα
└──
What is "the Image of God"?
Post date: Sat, 2009/10/17 - 5:34am
Jesus, the Rabbis, and the Image on a Coin
Post date: Thu, 2009/10/15 - 12:40pm
Preserving the Eyes of the Universe
Post date: Tue, 2009/09/08 - 10:58am
Ma'asei V'raisheet — The Works of Creation
Post date: Wed, 2009/07/22 - 3:29am
Torturing the Image of God
Post date: Tue, 2009/04/28 - 11:49am
### Crystal structures from another source follow
____________
PrSmSi2Os: calculated powder XRD pattern (Cu Kα, 1.54184 Å), based on the GGA-PBE geometry in OQMD.
Lines closer than 0.1° are merged.

The 10 most intense peaks (2θ = 10–90°), by angle:
27.02°, I = 49
32.27°, I = 36
32.58°, I = 66
33.27°, I = 100
33.45°, I = 45
35.88°, I = 65
40.11°, I = 29
40.23°, I = 43
42.23°, I = 49
62.64°, I = 34

Cell and atoms:
```
10
Lattice="5.5412 -2.1400 0.0000 5.5412 2.1400 0.0000 -5.1636 0.0000 8.9924" Properties=species:S:1:pos:R:3 pbc="T T T"
Pr 1.5329 0.0000 0.9667
Pr 4.3859 0.0000 8.0257
Sm -3.4051 0.0000 6.0900
Sm 9.3239 0.0000 2.9024
Si 1.5794 0.0000 3.9293
Si 0.9957 0.0000 7.8277
Si 4.9231 0.0000 1.1647
Si 4.3395 0.0000 5.0630
Os -0.1889 0.0000 5.6017
Os 6.1078 0.0000 3.3907
```

=====

1.
The following is a computed XRD peak list of Li2Ag2Br5. It was derived from the PBE geometry in Alexandria, using Cu Kα, 1.54184 Å.
Peak positions follow from Bragg's law for the DFT cell and can differ from measured ones.

Cell and atoms:
a b c (Å): 20.752 3.979 6.919
angles (deg): 90.00 107.05 90.00
Space group C2/m (No. 12)
One atom of each set of equivalent atoms:
Li1 0.190 0.000 0.367
Ag1 0.073 0.500 0.755
Br1 0.000 0.000 0.500
Br2 0.101 0.000 0.022
Br3 0.182 0.500 0.580

Most intense lines, 2θ from 5° to 70°, in order of rising 2θ:
h k l	d (Å)	I/Imax
2 0 0	9.920	89
2 0 1	4.882	65
4 0 -1	4.682	82
1 1 -1	3.449	62
6 0 -1	3.381	77
3 1 1	2.860	100
1 1 2	2.454	63
3 1 -3	1.994	31
5 1 -3	1.941	32
2 0 -4	1.715	33



2.
The following is a computed XRD peak list of Li2AgBr3. It was derived from the PBE geometry in Alexandria, using Cu Kα, 1.54184 Å.
Peak positions follow from Bragg's law for the DFT cell and can differ from measured ones.

Cell and atoms:
a b c (Å): 4.272 12.779 6.028
angles (deg): 90.00 90.00 90.00
Space group Imm2 (No. 44)
One atom of each set of equivalent atoms:
Li1 0.000 0.169 0.000
Ag1 0.000 0.500 0.992
Br1 0.000 0.000 0.775
Br2 0.000 0.325 0.734

Most intense lines, 2θ from 5° to 70°, in order of rising 2θ:
h k l	d (Å)	I/Imax
0 2 0	6.389	12
0 1 1	5.452	15
1 0 1	3.482	100
1 2 1	3.060	16
1 3 0	3.016	10
1 4 1	2.355	10
2 0 0	2.133	55
0 6 0	2.130	11
1 6 1	1.819	43
2 6 0	1.508	10



3.
The following is a computed XRD peak list of Li3Ag2Br6. It was derived from the PBE geometry in Alexandria, using Cu Kα, 1.54184 Å.
Peak positions follow from Bragg's law for the DFT cell and can differ from measured ones.

Cell and atoms:
a b c (Å): 3.9838 3.9838 59.2160
angles (deg): 90.00 90.00 120.00
Space group R-3m (No. 166, hexagonal axes)
One atom of each set of equivalent atoms:
Li1 0.0000 0.0000 0.0000
Li2 0.0000 0.0000 0.2804
Ag1 0.0000 0.0000 0.4451
Br1 0.0000 0.0000 0.0794
Br2 0.0000 0.0000 0.1977
Br3 0.0000 0.0000 0.3598

Most intense lines, 2θ from 5° to 70°, in order of rising 2θ:
h k l	d (Å)	I/Imax
0 0 6	9.869	26
0 0 9	6.580	41
1 0 7	3.195	29
0 1 8	3.127	47
0 1 11	2.905	100
0 1 14	2.673	32
0 1 17	2.451	16
1 1 0	1.992	60
1 0 25	1.953	48
0 0 36	1.643	25



4.
____________
A Jewish Perspective on Abrahamic Wisdoms: Jacob, Joshua, Jesus, the Talmud, & Mohammed
Post date: Tue, 2009/03/24 - 5:55pm
The Eclipse of Wonder: Abraham Joshua Heschel and Our Ecological Crisis
Post date: Sat, 2007/10/06 - 7:07am
Before there was a Before
Post date: Thu, 2006/12/28 - 4:50pm
Learning from Eden: "Do not gobble the Earth!"
Post date: Sat, 2001/09/08 - 9:46pm
B'reshit - deciding whether to...
Post date: Sat, 2001/09/08 - 9:46pm
Cain and Abel: Brother's war/Brother's peace
Post date: Sat, 2001/09/08 - 9:46pm
Noah or Abraham?
Post date: Tue, 2021/10/05 - 12:53pm
Flood, Ark, Rainbow
Post date: Thu, 2020/10/22 - 5:06pm
Rainbow Haftarah with Trop by Hazzan Jack Kessler
Post date: Mon, 2018/12/17 - 11:24am
This Thanksgiving: FLOOD THE E.P.A. with Thanks to the Holy One for Mother Earth and Sacred Calls to Heal Her
Post date: Tue, 2017/11/14 - 11:30pm
Post date: Mon, 2017/10/16 - 6:06am
Reb Arthur's 2d Bar Mitzvah: Save the Date!
Post date: Mon, 2016/02/08 - 5:02am
New Haftarah for the Rainbow Covenant: Hebrew & English text
Post date: Tue, 2014/10/14 - 1:00am
Fox News Cites Bible, Segregates Black Employees (read to end; satire tag))
Post date: Mon, 2014/07/07 - 10:38am
The tower of "Babble"
Post date: Thu, 2011/10/27 - 11:01am
The Flood, the Ark, and the Rainbow: Celebrating Rainbow Day & Shabbat Noach
Post date: Mon, 2011/05/09 - 4:09pm
Rainbow Sign - Shabbat Noah
Post date: Fri, 2010/09/24 - 10:59am
Shabbat Noach: Rainbow, Oil Slicks, & Sabbatical Year: A tale of two covenants -- broken
Post date: Wed, 2010/05/05 - 9:40am
Climate Policy: 7 Principles & a Yardstick rooted in Biblical & Jewish Wisdom
Post date: Fri, 2009/10/30 - 11:46am
From Rainbow Sign to Climate Policy
Post date: Tue, 2009/10/27 - 2:30pm
Praying for the Earth with our Voices and our Legs: Philadelphia
Post date: Fri, 2009/10/23 - 1:16am
Climate Healing Shabbat in Washington DC
Post date: Fri, 2009/10/23 - 12:55am
Philadelphia Jewish Exponent: Preventing a New World Flood, Sustaining the Web of Life
Post date: Fri, 2009/10/23 - 12:09am
**The Jewish Climate Change Campaign: Small Actions for Big Change
Post date: Thu, 2009/10/22 - 11:54pm
Noah & "Dominion" over the Earth
Post date: Thu, 2009/10/22 - 11:30pm
Seven reasons for optimism about the Senate climate bill
Post date: Sun, 2009/10/18 - 12:48pm
Brit Keshet v’ Tzit-tzit – A Covenantal Ceremony of the Rainbow & the Sacred Fringes
Post date: Fri, 2009/10/16 - 12:52pm
For Shabbat Noach: A Prayer for Creation
Post date: Thu, 2009/10/15 - 10:52am
Midrash on Noah and the Flood: Texts on the Preservation of Species and Human Responsibility
Post date: Wed, 2009/10/14 - 11:03am
Actions on Shabbat Noah
Post date: Thu, 2009/10/01 - 2:44pm
Evanston IL Celebration of Creation & a Call for Climate Healing
Post date: Thu, 2009/08/13 - 1:56pm
The Return of Captain Noah
Post date: Fri, 2009/07/31 - 2:25pm
Rainbow Sign: From the Story of the Flood, Learning to Heal Our Planet
Post date: Fri, 2009/07/31 - 1:29pm
Jewish Leaders call for "Climate Healing Shabbat" at Noah/Rainbow Torah-time, Oct 23-24
Post date: Tue, 2009/06/23 - 9:18pm
God Said to Noah: An Old/ New Song to Avert a New Flood
Post date: Thu, 2007/11/08 - 8:12am
The Very Tall Tale of Babel
Post date: Sat, 2001/09/08 - 9:46pm
Teva: The Ark and the Word that heal us from the flood
Post date: Sat, 2001/09/08 - 9:46pm
Haftarah Noah: Rainbow Covenant
Post date: Sat, 2001/09/08 - 9:46pm
The Flood: From Fairy Tale to Urgent Wisdom
Post date: Sat, 2001/09/08 - 9:46pm
When Abraham Sees God in Oak Trees
Post date: Fri, 2021/10/22 - 7:07am
Why Hagar Left: This Week’s Torah
Post date: Tue, 2021/10/19 - 8:03am
Why Hagar Left: Womantorah across the Generations
Post date: Mon, 2021/10/18 - 9:46pm
Dancing in God's Earthquake: Sodom, Lot, & America Today
Post date: Mon, 2020/11/09 - 10:05pm
Torah This Week: Seeing God in the Trees
Post date: Thu, 2020/11/05 - 8:13am
BRIT BAT – Welcoming girl-child into the Covenant
Post date: Sun, 2016/03/13 - 3:53pm
The Binding of Isaac & Black Lives Matter: Bodies in Fear
Post date: Thu, 2015/10/08 - 2:55pm
Yom Kippur Meets Eid al-Idha: Isaiah & Ishmael
Post date: Mon, 2015/09/21 - 7:49am
Wellsprings of Life: Hagar & Rosh Hashanah
Post date: Sun, 2015/09/13 - 2:35pm
ReNewing a Book for Rosh Hashanah: "The Tent of Abraham: Stories of Hope & Peace for Jews, Christians, and Muslims"
Post date: Fri, 2014/09/12 - 12:13pm
Yom Kippur as Transformation-time: 3 Keys to Unlock our Hearts
Post date: Mon, 2012/09/24 - 10:32am
From Ben-Ghazi to Yom Kippur
Post date: Fri, 2012/09/14 - 11:47am
Biblical Wellsprings, Water in our World
Post date: Thu, 2012/09/06 - 2:01pm
9/11 and Rosh Hashanah: Reconciling Abraham's Families, Celebrating American Diversity
Post date: Thu, 2010/08/26 - 7:02am
Drush on the Akedah, by Esther Ticktin
Post date: Sat, 2001/09/08 - 9:46pm
The Tale of Isaac's Binding as a Warning -- to Us
Post date: Sat, 2001/09/08 - 9:46pm
Three Knots in the Binding of Isaac
Post date: Sat, 2001/09/08 - 9:46pm
Seeing God through the eyes of Va'yeira
Post date: Sat, 2001/09/08 - 9:46pm
Chayye Sara
Reconciling Ishmael and Isaac for Yom Kippur
Post date: Sun, 2021/07/18 - 8:28am
Death: Peace Or a Coup? -- This Week’s Torah
Post date: Wed, 2020/11/11 - 9:07pm
Franz Kafka, the Leopard, & Yom Kippur
Post date: Tue, 2016/10/04 - 11:12pm
A Tomb and a Wellspring
Post date: Wed, 2011/11/23 - 7:55am
9/11 and Rosh Hashanah: Reconciling Abraham's Families, Celebrating American Diversity
Post date: Thu, 2010/08/26 - 7:02am
The Tomb and the Well: Owning & Sitting
Post date: Mon, 2005/11/21 - 11:06am
The Tale of Isaac's Binding as a Warning -- to Us
Post date: Sat, 2001/09/08 - 9:46pm
Death and Reconciliation
Post date: Sat, 2001/09/08 - 9:46pm
When the Sisters Struggle God, Why is This Torah Little Noticed?
Post date: Wed, 2020/11/25 - 6:16am
Our “Sodomite-in-Chief’” lives in the White House
Post date: Thu, 2017/11/09 - 11:08am
The Torah of Esau and Jacob, Gaza and Israel
Post date: Mon, 2012/11/26 - 8:00am
Long-term Truce or Another Gaza War?
Post date: Sun, 2012/11/18 - 1:27pm
Struggling with God, and with Obscurity
Post date: Wed, 2011/11/23 - 2:49am
Jealous sister, jealous God
Post date: Sun, 2004/11/21 - 1:00am
Rachel, Leah, & the First Godwrestle
Post date: Thu, 2004/11/18 - 1:00am
What does it mean to "Wrestle God"?
Post date: Thu, 2020/12/03 - 9:22am
Trump Tries to Trump Philip Roth’s Worst Forebodings
Post date: Thu, 2018/05/24 - 10:22pm
"Israel" is the Name of a People Also
Post date: Wed, 2016/05/11 - 8:43am
The Torah of Esau and Jacob, Gaza and Israel
Post date: Mon, 2012/11/26 - 8:00am
Long-term Truce or Another Gaza War?
Post date: Sun, 2012/11/18 - 1:27pm
Godwrestling: an adult name change
Post date: Mon, 2009/12/07 - 8:14am
Shalom Ctr Honors Cindy Sheehan & 3 Others as 'Prophetic Voices'
Post date: Tue, 2006/02/07 - 12:14pm
From Raging Wrestle to Godwrestle: Jacob & Esau
Post date: Thu, 2004/11/11 - 1:00am
Wordless Dina, Dark & Light
Post date: Wed, 2003/12/10 - 1:00am
Torah: The Grandchildren
Post date: Tue, 2020/12/29 - 10:08pm
Torah: The Grandchildren
Post date: Tue, 2020/12/29 - 10:08pm
Arrogance or Love? – the Biblical Story of Joseph
Post date: Thu, 2013/11/21 - 10:51am
A Jewish Perspective on Abrahamic Wisdoms: Jacob, Joshua, Jesus, the Talmud, & Mohammed
Post date: Tue, 2009/03/24 - 5:55pm
In the Dark: Joseph & His Brothers
Post date: Fri, 2004/12/10 - 1:00am
The Missing Daughters of Jacob
Post date: Sat, 2001/09/08 - 9:46pm
The Breasted God
Post date: Sat, 2001/09/08 - 9:46pm